So we got to the airport, got through security and waited for boarding. The flight to Seattle is quick, at less than 45 minutes. We are ready for Maui!
Beautiful view above the clouds as the sun rose.
And a still dark Seattle about to come to life.
We used the bathroom, got coffee, walked around killing time, not quite paying enough attention to time. We walked toward our gate as we hear the "final boarding" announcements and they said, "Oh, you must be Travis and Kate, looks like we were just waiting for you!" Oops! Luckily not everyone had made it on yet so we felt a little less bad as I walked on the plane with my big Starbucks drink knowing I wasn't actually holding everyone up! Now we are heading back up in the clouds for a little ride to Sacramento.
Sunrise in Seattle
A little view of Mt. Rainier
Now we stopped quick in Sacramento and got off to take a bathroom break but hopped right back on the same plane and off we go! These are our "we're going to Maui" faces!
Our last view of land. Yes, I was a bit freaked out as this was my first flight over water. Travis sat next to the window so when I looked out I only saw sky and I just pretended that was all that was out there.
Our first view of Maui! We are almost there! Both of us slept a little on the plane but I had a chatty lady next to me so my sleep was less.
We are HERE. It was sort of fun to get to Maui, have a guy waiting there with a sign with our names on it, and beautiful Leis. Practically as soon as we landed we could feel the heat, the moisture, smell the fresh salty air. We just wanted to get to the beach!
View out the front of the airport, waiting to get into our shuttle.
It was a 40 or so minute drive from the airport to our hotel and that drive was so worth it when we got checked in and saw this view from our room.
We wasted no time. We headed down to the little store at the hotel and got some beer, water and snacks for our room, then headed to look around.
-- What comes next are calculated crystals, not part of the entry --
-- begin --
1.
The following is a computed powder diffraction line list of KPdAuSeS2. It was derived from a crystal structure in OQMD, relaxed with PBE, using Cu Kα X-rays.
Kinematic intensities with the Lorentz-polarization factor, no thermal factor.

Peak list (12 most intense, 2θ from 10° to 90°, sorted by position)
2θ 11.02, d = 8.032 Å, I = 100
2θ 13.98, d = 6.334 Å, I = 54
2θ 28.20, d = 3.164 Å, I = 23
2θ 30.01, d = 2.978 Å, I = 40
2θ 31.27, d = 2.860 Å, I = 71
2θ 34.62, d = 2.591 Å, I = 25
2θ 34.84, d = 2.575 Å, I = 38
2θ 37.61, d = 2.392 Å, I = 30
2θ 40.09, d = 2.249 Å, I = 27
2θ 46.64, d = 1.948 Å, I = 23
2θ 52.20, d = 1.752 Å, I = 22
2θ 54.15, d = 1.694 Å, I = 20

Cell and atoms:
```
data_KPdAuSeS2
_chemical_formula_sum 'K4 Pd4 Au4 Se4 S8'
_cell_length_a 3.5826
_cell_length_b 16.0635
_cell_length_c 10.2993
_cell_angle_alpha 90.00
_cell_angle_beta 90.00
_cell_angle_gamma 90.00
_space_group_name_H-M_alt 'C m c m'
_space_group_IT_number 63
_space_group_name_Hall '-C 2c 2'
loop_
_atom_site_label
_atom_site_type_symbol
_atom_site_fract_x
_atom_site_fract_y
_atom_site_fract_z
K1 K 0.0000 0.2194 0.2500
Pd1 Pd 0.0000 0.5000 0.0000
Au1 Au 0.0000 0.1075 0.7500
Se1 Se 0.0000 0.4513 0.7500
S1 S 0.0000 0.1006 0.5245
```



2.
The following is a computed powder diffraction line list of Ta4CuSnC2. It was derived from a crystal structure in OQMD, relaxed with PBE, using Cu Kα X-rays.
Kinematic intensities with the Lorentz-polarization factor, no thermal factor.

Peak list (12 most intense, 2θ from 10° to 90°, sorted by position)
2θ 13.02, d = 6.799 Å, I = 9
2θ 32.50, d = 2.755 Å, I = 25
2θ 33.18, d = 2.700 Å, I = 6
2θ 35.15, d = 2.553 Å, I = 4
2θ 38.23, d = 2.354 Å, I = 100
2θ 39.77, d = 2.266 Å, I = 17
2θ 52.27, d = 1.750 Å, I = 13
2θ 57.98, d = 1.591 Å, I = 22
2θ 64.41, d = 1.447 Å, I = 5
2θ 71.17, d = 1.325 Å, I = 12
2θ 71.59, d = 1.318 Å, I = 16
2θ 72.62, d = 1.302 Å, I = 18

Cell and atoms:
```
data_Ta4CuSnC2
_chemical_formula_sum 'Ta4 Cu1 Sn1 C2'
_cell_length_a 3.1813
_cell_length_b 3.1813
_cell_length_c 13.5981
_cell_angle_alpha 90.00
_cell_angle_beta 90.00
_cell_angle_gamma 120.00
_space_group_name_H-M_alt 'P -6 m 2'
_space_group_IT_number 187
_space_group_name_Hall 'P -6 2'
loop_
_atom_site_label
_atom_site_type_symbol
_atom_site_fract_x
_atom_site_fract_y
_atom_site_fract_z
Ta1 Ta 0.0000 0.0000 0.1512
Ta2 Ta 0.6667 0.3333 0.3264
Cu1 Cu 0.6667 0.3333 0.0000
Sn1 Sn 0.0000 0.0000 0.5000
C1 C 0.3333 0.6667 0.2377
```



3.
The following is a computed powder diffraction line list of La2TbSn5Pb2. It was derived from a crystal structure in OQMD, relaxed with PBE, using Cu Kα X-rays.
Kinematic intensities with the Lorentz-polarization factor, no thermal factor.

Peak list (12 most intense, 2θ from 10° to 90°, sorted by position)
2θ 31.97, d = 2.799 Å, I = 100
2θ 34.23, d = 2.620 Å, I = 17
2θ 38.31, d = 2.350 Å, I = 17
2θ 38.58, d = 2.333 Å, I = 16
2θ 52.30, d = 1.749 Å, I = 10
2θ 52.52, d = 1.742 Å, I = 10
2θ 55.50, d = 1.656 Å, I = 12
-- stop --
Since we hadn't eaten much all day (because I refuse to use the airplane bathroom) we were super hungry. We ate a little cheese and fruit platter on the plane, and a Mai Tai right before we landed, and it was time to eat some Maui food. As you can see below, I had myself another Mai Tai.
I had a pretty delicious serving of Mahi Mahi Fish 'n Chips with an interesting (but good) spicy tarter and coleslaw.
Then we walked down to put our toes in the water. This view is so amazing and I could stare at it all day. I told Travis that I could move here and waitress, or drive a shuttle, or whatever I had to do to see this view everyday. The water was such an amazing color and after the initial shock of the water touching my skin, I realized just how really warm the water actually was. Plus, this was my first REAL swim in the ocean, where I actually got all the way in, sucked in who knows how many mouthfuls of saltwater, but enjoyed every moment of it.
Not a bad way to wrap up our afternoon, sitting on the beach, sipping a Mai Tai, staring out into the sea.
Day one of your trip looks like so much fun, well besides the flying! I hope the rest of your trip is this much fun!